My niece, 28, lost her mom about 10 years ago and left Christ. She was vulnerable and began to hang out with friends who were ungodly, even satanic. One person, in particular, convinced her that she was a lesbian, and now has her considering a sex-change operation. Please pray that God supernaturally postpones/delays that decision and procedure long enough for her to encounter God again and come to her senses. Thank you.
It is with a broken heart that I am having to say goodbye to my hero. You were a hero not only to our family, but your country. You fought in 2 wars, and were the recipient of the Distinguished Flying Cross and were married for 62 years. I know in my head that you are in a better place, but my heart, l just can’t seem to believe it. You fought a hard battle with Alzheimers, Parkinsons and Dementia. I hope you knew how much you are loved and respected.
I will always love you Dad.
I have experienced loss and setbacks that have shaken my confidence. I want to believe and trust God, and get on with my life, but I have almost lost hope. The fear and anxiety are overwhelming at times. Please pray that I would know God and His love, that I would feel His presence and be brave to take the next step.
I feel awkward asking for prayers for a dog, but my 'little man' has been with me the last 8 years since my divorce. Buster is like any other small dog with a heart murmur and heart disease at the age of 13. A recent cough had me wondering if his trachea was collapsing from his enlarged heart. He has pneumonia and now is on 4 medicines. I have been so wound up with worry. Listening this morning to KLRC made me realize I need to let go. Very similar to when I was wound up trying to fix my marriage, I need to put it all in God's hands. Please pray for my best friend and give me the courage to let go. Thank you.
I've battled debt most of my adult life and brought it into my marriage. My husband and I are pushing back against the bondage of debt. I pray that God will give us wisdom regarding our part to be wise and faithful stewards. Also, only if it's His will, we will receive financial blessings and boosts to help us along this journey.
Records of molecules that have nothing to do with the piece:
'''
Record 1
The following is a quantum chemistry calculation of C30H25CrN7O2 as an isolated structure at a distorted geometry, from OMol25.

Cartesian coordinates (Å):
Cr (0.11, -0.05, 0.04)
O (0.50, 0.95, 1.60)
C (0.91, 0.58, 2.76)
C (0.65, 1.38, 3.89)
C (1.14, 1.05, 5.13)
C (1.94, -0.08, 5.30)
C (2.20, -0.90, 4.22)
C (1.68, -0.62, 2.94)
C (1.95, -1.51, 1.87)
N (1.40, -1.44, 0.69)
C (1.82, -2.37, -0.32)
C (0.58, -2.79, -1.13)
N (-0.36, -1.70, -1.09)
C (-1.61, -1.97, -1.23)
C (-2.53, -0.84, -1.06)
C (-4.00, -1.08, -0.93)
C (-4.85, -0.04, -0.96)
C (-4.49, 1.34, -1.15)
C (-3.32, 1.95, -0.87)
C (-2.18, 1.39, -0.15)
O (-1.40, 2.29, 0.57)
H (0.04, 2.26, 3.74)
H (0.90, 1.67, 5.97)
H (2.35, -0.32, 6.27)
H (2.81, -1.79, 4.35)
H (2.65, -2.33, 2.08)
H (2.32, -3.25, 0.11)
H (2.52, -1.86, -0.98)
H (0.14, -3.69, -0.69)
H (0.85, -3.01, -2.17)
H (-1.97, -2.99, -1.41)
H (-4.35, -2.08, -0.76)
H (-5.91, -0.25, -0.90)
H (-5.27, 1.96, -1.56)
H (-3.19, 3.00, -1.11)
N (2.96, 1.02, -3.32)
C (2.61, 0.69, -2.04)
N (1.50, 1.07, -1.47)
C (0.69, 1.97, -2.13)
N (-0.45, 2.37, -1.60)
N (-0.79, 1.64, -0.53)
C (-2.01, -0.06, 0.18)
C (-2.37, -0.60, 1.48)
C (-3.28, 0.00, 2.36)
C (-3.44, -0.54, 3.62)
C (-2.71, -1.67, 3.97)
C (-1.86, -2.22, 3.02)
N (-1.69, -1.71, 1.82)
C (1.04, 2.43, -3.45)
C (0.25, 3.34, -4.16)
C (0.56, 3.65, -5.47)
C (1.65, 3.07, -6.09)
C (2.48, 2.20, -5.38)
C (2.17, 1.89, -4.07)
H (3.80, 0.65, -3.73)
H (3.33, 0.12, -1.47)
H (-2.38, -0.16, -1.92)
H (-3.83, 0.87, 2.04)
H (-4.14, -0.09, 4.32)
H (-2.79, -2.11, 4.95)
H (-1.28, -3.10, 3.24)
H (-0.60, 3.77, -3.65)
H (-0.08, 4.33, -6.01)
H (1.87, 3.28, -7.12)
H (3.35, 1.76, -5.84)

Multiplicity: 5
Total energy, eV: -74458.33714
Expectation value of S²: 6.1139
HOMO-LUMO gap (alpha / beta), eV: 4.1390 / 6.8934
Charge: 0

=====

Record 2
The following is a quantum chemistry calculation of a 4-piece molecular cluster, C3H14NO3 overall at a distorted geometry, from OMol25.

Cartesian coordinates (Å):
C (0.43, -0.93, 0.78)
C (0.35, 0.52, 0.34)
C (1.24, 1.50, 0.41)
N (-0.92, 0.89, -0.33)
H (1.33, -0.92, 1.39)
H (0.66, -1.47, -0.13)
H (-0.47, -1.21, 1.32)
H (1.08, 2.39, -0.20)
H (2.13, 1.50, 1.00)
H (-1.69, 0.92, 0.36)
H (-0.87, 1.84, -0.68)
H (-1.22, 0.25, -1.09)
H (-1.38, -1.99, -2.41)
H (-1.59, -0.76, -3.22)
O (-1.31, -1.01, -2.35)
H (-3.38, 1.03, 1.76)
H (-3.53, -0.45, 1.68)
O (-2.86, 0.23, 1.54)
H (3.68, -0.06, -0.16)
H (4.49, -1.36, -0.28)
O (3.84, -0.90, 0.27)

Total energy, eV: -10964.15416
HOMO-LUMO gap, eV: 11.0400
Charge: +1

=====

Record 3
The following is a quantum chemistry calculation of C11H23CeN2O5P2 as an isolated structure at a distorted geometry, from OMol25.

Cartesian coordinates (Å):
Ce (0.85, 0.03, 1.92)
P (-2.92, -0.53, 0.39)
C (-2.20, 0.43, -1.00)
C (-0.76, 0.91, -1.21)
N (0.25, 0.80, -0.30)
C (1.48, 1.29, -0.65)
C (1.71, 1.95, -1.85)
C (0.68, 2.06, -2.77)
C (-0.55, 1.53, -2.44)
C (2.65, 1.12, 0.33)
P (3.20, -0.66, 0.69)
H (-1.40, 1.60, -3.12)
H (2.71, 2.36, -2.03)
H (0.84, 2.55, -3.74)
'''
Here the piece continues:
Please pray for both me and my wife. We both have back problems with pain. Both of us are on pain medication. I am now residing in an assisted living facility because of limited mobility. Please pray with me that God would continue to use me here for His Glory. Also please pray for our finances. Many here need to know the Lord for salvation. Obviously, many also have physical needs. God bless you all at the station and it’s ministry.
<<<
A single C5H9NOS molecule in a non-equilibrium geometry, computed with the ωB97M-V functional and the def2-TZVPD basis.

The geometry in XYZ format:
```
17
C5H9NOS | OMol25 | the ωB97M-V functional and the def2-TZVPD basis
S 0.7666 -0.0940 2.1626
O -1.2367 1.6966 -0.5281
N 0.8075 -0.3124 -1.5275
C -1.4967 -0.7119 -0.5010
C -1.8212 0.5244 -1.1693
C 1.8282 0.0741 -0.5397
C 0.7958 -0.1939 0.5903
C -0.0229 -1.0146 -0.4688
H -1.7054 1.9638 0.3808
H 0.2075 -2.1249 -0.2850
H 2.6910 -0.8720 -0.3781
H -2.8994 0.5841 -1.2095
H -1.2957 0.4618 -2.0420
H -2.2075 -1.5355 -0.9721
H 2.3475 1.1095 -0.7248
H 0.9973 -0.9121 -2.5716
H -1.8596 -0.6261 0.6489
```

Results
**Structure (SMILES)**: OCC[C@H]1NCC1=S
**Gap between HOMO and LUMO**: 8.48 eV
**Energy above the lowest of the compared OMol25 structures with the same formula, charge and spin**: 105.68 kcal/mol

A molecular structure, C5H9NS in a non-equilibrium geometry, computed with the ωB97M-V functional and the def2-TZVPD basis.

The geometry in XYZ format:
```
16
C5H9NS | OMol25 | the ωB97M-V functional and the def2-TZVPD basis
S 3.9454 0.5743 -1.2362
N -0.9694 -0.5901 -0.6828
C -0.9904 -0.5220 0.6999
C -1.5301 0.5835 1.8637
C 0.2350 -0.2086 -1.3125
C 1.4610 -0.1180 -0.7671
C 2.4648 0.1361 -1.6051
H -2.7851 0.8133 1.8250
H -1.4477 -1.6804 1.3515
H -1.0757 1.7933 1.4290
H -2.0600 -0.0572 -0.9772
H 0.1752 -0.2402 -2.3811
H 2.2728 -0.1143 -2.6707
H 0.0755 -0.7903 1.1184
H -1.1415 0.1602 2.9222
H 1.3702 0.2604 0.4229
```

Results
**Gap between HOMO and LUMO**: 7.90 eV
**Energy above the lowest of the compared OMol25 structures with the same formula, charge and spin**: 145.77 kcal/mol

A molecular structure, C5H9NS2 in a non-equilibrium geometry, computed with the ωB97M-V functional and the def2-TZVPD basis.

The geometry in XYZ format:
```
17
C5H9NS2 | OMol25 | the ωB97M-V functional and the def2-TZVPD basis
S -3.1751 -0.6585 -0.5654
S 2.5540 -1.5746 -0.2850
N 0.4692 -0.2094 0.3087
C -0.5351 -1.4901 0.3318
C 2.4761 1.1234 -0.3247
C -0.8284 0.6354 0.1101
C -1.7674 -0.4236 0.5063
C 1.7448 -0.1160 -0.0502
H 1.3922 1.9514 -0.7839
H -3.6039 0.4034 -0.0341
H -0.6603 -1.8534 -0.8630
H -0.9172 1.7853 0.6486
H -1.0925 0.8360 -1.0911
H -2.0702 -0.4958 1.5447
H 3.3391 1.5534 0.8562
H 3.3213 0.8505 -1.4394
H -0.6464 -2.3175 1.1305
```

Results
**Gap between HOMO and LUMO**: 8.15 eV
**Energy above the lowest of the compared OMol25 structures with the same formula, charge and spin**: 174.02 kcal/mol

2 unconnected molecules or ions with the total composition C5H9O2S in a non-equilibrium geometry, computed with the ωB97M-V functional and the def2-TZVPD basis.

The geometry in XYZ format:
```
17
C5H9O2S | OMol25 | the ωB97M-V functional and the def2-TZVPD basis
S 2.6702 -0.2974 0.1604
O 3.5147 0.9175 -0.0609
O 2.4681 -1.0491 -1.1260
C 0.2415 0.6404 0.4901
C -1.8486 -0.8871 0.1616
C 0.0358 1.9492 -0.1921
C -0.4375 -0.4149 -0.1716
C -0.6471 -1.8808 0.1896
H -0.4797 -0.1606 -1.1681
H -0.3838 -2.2058 1.1210
>>>
Please pray for Steve who I met over the past year. Steve is a man of God and his salvation is sealed by the blood of Jesus. Steve thought he had a hamstring or sciatic nerve issue but after some test they found out he had a large tumor in his back pressing on the spine. He also has cancer in his lungs and throat. He is currently undergoing treatment. Please pray for Steve to remain strong and that God would heal him from this terrible disease.
My son is 15 and is having a really hard time this year and is making some choices that are not good for him. Would you please pray that my son, that he would stop isolating, find friends that are good for him, make healthy choices, and grow to know the Lord. Thanks so much for your prayers.
I pray for everyone hurting during this time and that during this time people will look to God. This is a hard time and it should be a time that we stand together and not grow apart. I just got the KLRC app and was reading the prayers when I felt like I needed to pray for this. Thank you all for praying for others. Have a blessed day.
My mom passed away on June 26th. While I am very happy that she is with Jesus now, her passing has left me with a lot of anxiety, depression, and wrestling with my faith. I am traveling to her hometown this weekend for a memorial for her, and I'm anxious about how much it's going to hurt. Please pray for peace for me and my family, and strength for my faith.
(Next to the text, the page also holds calculated molecules)
'''
Molecular formula: C25H41CeF5P2
Method: DFT, ωB97M-V/def2-TZVPD

Structure (XYZ):
```
74
Properties=species:S:1:pos:R:3:forces:R:3
Ce -0.78344 0.19685 -1.87770 0.3 -0.3 -0.1
C -0.43850 0.34867 0.82607 -1.2 0.4 -0.1
C -1.03501 1.58477 0.39536 -0.4 -1.0 0.1
C -2.55798 -0.12010 0.00732 0.6 0.6 0.8
C -1.38441 -0.69091 0.58924 -0.2 0.9 0.1
C -2.34550 1.29186 -0.11446 0.6 -0.7 0.9
C 0.82629 0.16553 1.59981 0.4 -0.2 0.2
H 1.40127 1.09219 1.69051 -0.1 -0.1 -0.1
H 1.47874 -0.59012 1.13705 -0.1 0.2 0.2
H 0.61853 -0.18355 2.62469 0.0 0.1 -0.3
C -1.22711 -2.10831 1.01010 -0.1 -0.5 -0.1
H -0.48062 -2.20420 1.80232 -0.1 0.0 -0.1
H -0.91884 -2.73910 0.16926 0.0 -0.1 0.4
H -2.17769 -2.50573 1.38650 0.2 0.0 0.0
C -3.80910 -0.87153 -0.29580 -0.2 -0.3 -0.2
H -4.11995 -1.46588 0.57353 0.1 0.1 -0.2
H -3.67879 -1.57542 -1.13170 -0.2 0.1 0.1
H -4.62697 -0.19153 -0.54211 0.0 -0.1 0.0
C -3.33080 2.29307 -0.61199 -0.3 0.0 -0.1
H -4.35601 1.92679 -0.46098 0.3 0.2 -0.1
H -3.22290 2.50999 -1.68717 -0.1 0.1 0.1
H -3.22502 3.24056 -0.07575 0.0 -0.1 -0.1
C -0.48903 2.95608 0.58625 0.0 0.6 -0.1
H -1.21592 3.59218 1.11246 0.2 -0.1 -0.1
H -0.27033 3.45318 -0.37052 0.0 0.0 0.3
H 0.42996 2.93960 1.18189 -0.1 0.1 -0.1
C 4.19399 0.00545 -0.22630 0.8 0.3 0.6
C 4.37836 1.05600 0.58471 0.1 -0.9 -0.1
C 4.13401 2.47707 0.19970 0.1 0.9 0.0
C 4.52773 2.89728 -1.24683 0.5 0.6 -0.4
C 3.31116 3.05312 -2.21174 -0.4 -0.7 0.8
C 2.09405 2.27412 -1.78788 -1.3 0.2 -0.7
C 2.17683 0.74873 -1.58223 0.5 0.1 0.2
C 3.58341 0.09714 -1.58616 -0.6 -0.6 -0.4
H 4.72056 3.12234 0.87239 -0.2 -0.3 -0.1
H 5.30101 2.23891 -1.65872 -0.2 0.0 0.3
H 3.07987 2.73826 0.39501 0.4 0.0 -0.1
H 4.21191 0.61284 -2.31776 -0.1 -0.2 0.3
H 4.51973 -0.99906 0.07719 -0.3 0.5 0.1
H 4.72648 0.90497 1.61289 0.0 -0.1 -0.4
H 3.46859 -0.92476 -1.97560 0.0 0.3 0.1
H 1.68137 0.48704 -0.61953 0.3 0.0 -0.6
H 1.55702 2.76088 -0.95927 0.3 -0.2 -0.4
H 1.63310 0.17578 -2.38613 0.3 0.6 0.2
H 5.01470 3.88703 -1.19894 -0.1 -0.4 0.1
H 3.05571 4.12416 -2.22139 -0.2 -0.3 0.0
P 3.41474 2.66621 -3.99980 1.4 1.3 1.1
C 4.84799 1.65678 -4.34906 0.3 -0.4 -0.8
C 3.75220 4.27463 -4.75691 0.0 -0.1 -0.6
P 0.57957 2.18594 -3.27082 0.8 -0.4 3.2
C 1.87981 2.03627 -4.60429 -0.3 -0.8 -0.6
C 0.10963 3.92301 -3.37207 -0.7 0.4 -0.4
C -0.72574 1.29485 -4.33027 -0.7 0.5 -2.5
H 4.55085 0.67626 -4.75440 0.3 0.3 0.2
H 5.51077 1.53165 -3.48666 -0.3 0.0 -0.2
H 5.40194 2.22087 -5.10616 0.1 -0.4 0.0
H 4.26655 4.07879 -5.70935 -0.2 0.4 0.2
H 4.41365 4.85151 -4.09925 -0.1 -0.2 -0.2
H 2.82936 4.84884 -4.93850 0.3 -0.2 0.1
H -0.60391 1.76378 -5.31433 -0.6 -0.4 -0.1
H -1.77362 1.45686 -4.01385 0.2 -0.1 -0.2
H -0.52761 0.20918 -4.48569 -0.1 0.5 0.0
H 1.98013 0.97624 -4.89862 0.1 0.4 0.1
H 1.57868 2.61556 -5.50070 0.1 -0.3 0.4
H -0.96264 4.00770 -3.14946 0.2 0.1 -0.1
H 0.28105 4.29877 -4.39031 -0.1 0.2 0.3
H 0.65382 4.54044 -2.64759 0.0 -0.3 -0.2
F 1.20809 -2.63939 -1.25392 -0.4 -0.2 -0.6
C 0.58336 -2.01454 -2.32090 -0.3 1.5 0.9
F 1.53745 -1.96079 -3.33566 -0.5 -0.2 0.0
'''
(End of the calculated molecules)
Please pray for my sister-in-law. She is going through a 2nd round of Chemo. She was diagnosed with breast cancer in 2019. Her treatments and recovery were going well but her Cancer has come back on her lung. She is going to Duke Medical Center on Friday for 20 days. She is starting her first treatment and needs our prayers. Pray for strength and healing. Pray that my brother (her husband) will come to know Jesus as his Lord and Savior.